And if you believe he won’t change his mind on this as soon as someone tells him to then you must believe Rubio has a spine and conscience.
There’s also the question of firepower. It’s hard to imagine a person with a pistol surviving a confrontation with a shooter with an AR-15 and body armor. As we both know, the people who propose this stuff get off on imagining situations in which they’d goodie gumdrops actually get to shoot a human being. Also as we know the NRA is essentially funded by gun manufacturers so its raison d’être is selling guns. There are three million teachers in the country. Say you arm 20 percent of them, that’s a pretty good payday for the gun makers.
“Sen. Marco Rubio (R-FL) broke with President Donald Trump on Wednesday… and said he was not “comfortable” with arming teachers to prevent attacks.”
In our NRA filth-choked country, THIS is known as a “profile in courage”! Pathetic, huh?
I pointed out on FB how dangerous this would be for the teachers chasing down an attacker armed with a semi-auto weapon and the calamity it would cause since law enforcement wouldn’t know if the person running around with the gun was the shooter or a teacher. A person I know from an extremely small town (maybe five or six stoplights) was saying how well it’s working in her hometown. She said the police know who the teachers are that are allowed to carry guns, so there would be no issues with misidentification. It was pointed out to her by several others what a complete disaster it would be for larger cities and communities where everyone doesn’t know everyone. I asked what would happen if state police or other departments from the surrounding area responded. She didn’t have an answer for that.
Very true. SWAT trained officers die while wearing body armor when the perpetrator is armed with an AR-15. Teachers armed with nothing more than a handgun would be wildly outgunned.
And how will the district afford to cover the liability insurance and settlements when a teacher inevitably shoots and kills an unarmed student or an innocent bystander?
This guy should have been stopped before he got the gun.
Rubio had a rough night last night, judging from this:
Membership in the NRA should be considered a sign of serious mental illness that makes a person ineligible to own a firearm of any kind.
Neuter the NRA is my new mantra on this matter.
Absolutely, and are we really expecting these teachers who only signed up to teach to now put their lives on the line chasing after someone armed with an assault weapon? How fucking ridiculous is this to even imagine? Stupid people really shouldn’t be allowed to watch action movies.
Precisely right. I am watching Ryan, the young man how debated Rubio last night, on CNN. And it floors me that CNN pushes back on the notion that Rubio was offering up double talk. Defending Rubio because he was “on the hot seat”. Please. He chose to be elected Senator, and gets paid very well by the taxpayers to listen to Florida’s constituents when issues arise. Its his god damned job to “be on the hot seat”.
CNN, you can base that upon the fact that Rubio has a long history of saying one thing when he perceives it as politically expedient and then do an about face when it comes down to brass tacks. Remember the immigration debate in 2013??
Anyone thinking Rubio is suddenly going to grow a spine and take a stand against the NRA (let alone just refuse their money), has never looked at this guy’s history.
Teachers are not exempt from mental illness anymore than the rest of humanity. Sooner rather than later, one would start shooting up a classroom or other teachers.
[quote=“pluckyinky, post:21, topic:68870”]
Will they be given the time off for this training and who pays for it?
[/quote]I’m sure the Trump administration and DeVos Education Department could find the money for guns and training (through her brother’s company) by taking funding away from school lunch programs, before and after-school programs (that keep a lot of at-risk kids off the streets, enrichment programs. Maybe cut teacher salaries, since so many Republicans think they make too much…and, besides, they’ll be safer now so they should be willing to give a little back for that.
Having worked in education for 15 years in a high poverty, high crime community and concurrently in another district at an alternative night school for at-risk kids, I have some experience that informs my beliefs about this issue and a number of others in education. My sarcasm about this keeps me from going off even more on these fucking idiots.
We’re expecting them to shield them now with nothing more than their bodies.
And they are doing it.
Or shoots him/herself. Or some 12-year-old gets hold of the gun and shoots him or her or someone else.
Anyway, they don’t need liability insurance – they have an inexhaustible supply of thoughts and prayers.
Just as the answer to nuclear proliferation is not more nukes, so the answer to gun violence is not more guns. You’d think someone with a modicum of common sense would point this out.
What about this idea- ?
Instead of banning guns, we say we are so much for the 2nd Amendment that we want it on steroids! We want it enforced to the letter… “A well regulated militia, being necessary to the security of a free State, the right of the people to keep and bear Arms, shall not be infringed” — that’s from my Khizr Khan - style pocket constitution.
Here’s the emphasis part:
A well regulated militia Show me any regulation at all to this ‘militia’. Maybe the local National Guard could have them do drills. Maybe they can march for donald on Pennsylvania avenue. All of them. The more I think about it. They can demonstrate their patriotism by spending 1/2 day every week – doing drills – and studying the laws and the constitution.
Yeah, I know it is a pipe dream. Have them wear uniforms, carry a militia ID card, bring ALL their firearms each week to the meetings, and spend their time away from what they want to do – to become a well regulated militia. They are not regulated at all in the least. Love the idea that they would have to bring all their firearms – I know someone who has 3 maximum sized ‘gun safe’ (Think of a closet) – stuffed with guns and ammo. Just moving/hauling them would be exhausting.
Maybe we zero in on the regulation part and not the armed part.
(Inserted here: calculated crystals)
[1]
! NaSmF4 (r2SCAN, relaxed); values from VASP
&SYSTEM
  ibrav = 0, nat = 18, ntyp = 3
/
ATOMIC_SPECIES
Na 22.99 Na.upf
Sm 150.36 Sm.upf
F 19.00 F.upf
CELL_PARAMETERS angstrom
6.020 0.001 -0.001
2.998 6.336 -0.016
3.002 2.190 5.952
ATOMIC_POSITIONS crystal
Na 0.666 0.486 0.165
Na 0.663 0.006 0.678
Na 0.330 0.427 0.909
Sm 0.003 0.000 0.998
Sm 0.998 0.499 0.504
Sm 0.336 0.921 0.409
F 0.368 0.007 0.031
F 0.366 0.542 0.501
F 0.595 0.166 0.198
F 0.592 0.709 0.659
F 0.037 0.279 0.315
F 0.046 0.819 0.771
F 0.257 0.625 0.129
F 0.276 0.130 0.624
F 0.983 0.381 0.883
F 0.977 0.887 0.384
F 0.755 0.735 0.233
F 0.753 0.244 0.746
! Energy relative to the elements: -24.0 eV/f.u.
! SG: P1, No. 1
! Volume: 227 Å³/cell
! Spin magnetization: 0.0 Bohr magnetons per cell

---

[2]
! SiO2 (r2SCAN, relaxed); values from VASP
&SYSTEM
  ibrav = 0, nat = 60, ntyp = 2
/
ATOMIC_SPECIES
Si 28.09 Si.upf
O 16.00 O.upf
CELL_PARAMETERS angstrom
-5.236 -1.467 10.985
-2.304 11.729 2.714
-3.244 -8.593 -8.117
ATOMIC_POSITIONS crystal
Si 0.181 0.853 0.955
Si 0.819 0.774 0.672
Si 0.398 0.726 0.045
Si 0.602 0.647 0.328
Si 0.819 0.147 0.045
Si 0.181 0.226 0.328
Si 0.602 0.274 0.955
Si 0.398 0.353 0.672
Si 0.045 0.414 0.258
Si 0.955 0.213 0.369
Si 0.657 0.287 0.742
Si 0.343 0.086 0.631
Si 0.955 0.586 0.742
Si 0.045 0.787 0.631
Si 0.343 0.713 0.258
Si 0.657 0.914 0.369
Si 0.113 0.059 0.672
Si 0.887 0.559 0.945
Si 0.887 0.941 0.328
Si 0.113 0.441 0.055
O 0.076 0.745 0.912
O 0.924 0.836 0.669
O 0.333 0.664 0.088
O 0.667 0.755 0.331
O 0.924 0.255 0.088
O 0.076 0.164 0.331
O 0.667 0.336 0.912
O 0.333 0.245 0.669
O 0.310 0.810 0.000
O 0.690 0.690 0.500
O 0.690 0.190 0.000
O 0.310 0.310 0.500
O 0.146 0.797 0.773
O 0.854 0.627 0.651
O 0.524 0.873 0.227
O 0.476 0.703 0.349
O 0.854 0.203 0.227
O 0.146 0.373 0.349
O 0.476 0.127 0.773
O 0.524 0.297 0.651
O 0.191 0.060 0.131
O 0.809 0.940 0.869
O 0.428 0.560 0.869
O 0.572 0.440 0.131
O 0.101 0.439 0.178
O 0.899 0.078 0.339
O 0.761 0.422 0.822
O 0.239 0.061 0.661
O 0.899 0.561 0.822
O 0.101 0.922 0.661
O 0.239 0.578 0.178
O 0.761 0.939 0.339
O 0.007 0.590 0.417
O 0.993 0.410 0.583
O 0.674 0.090 0.583
O 0.326 0.910 0.417
O 0.000 0.000 0.500
O 0.000 0.500 0.000
O 0.117 0.250 0.867
O 0.883 0.750 0.133
! Energy relative to the elements: -9.1 eV/f.u.
! SG: Imma, No. 74
! Volume: 1052 Å³/cell
! Spin magnetization: 0.0 Bohr magnetons per cell

---

[3]
! SrTm2S4 (r2SCAN, relaxed); values from VASP
&SYSTEM
  ibrav = 0, nat = 28, ntyp = 3
/
ATOMIC_SPECIES
Sr 87.62 Sr.upf
Tm 168.93 Tm.upf
S 32.06 S.upf
CELL_PARAMETERS angstrom
3.931 0.000 0.000
0.000 11.960 0.000
0.000 0.000 14.162
ATOMIC_POSITIONS crystal
Sr 0.250 0.760 0.337
Sr 0.250 0.260 0.163
Sr 0.750 0.240 0.663
Sr 0.750 0.740 0.837
Tm 0.250 0.437 0.389
Tm 0.250 0.937 0.111
Tm 0.750 0.563 0.611
Tm 0.750 0.063 0.889
Tm 0.250 0.418 0.900
Tm 0.250 0.918 0.600
Tm 0.750 0.582 0.100
Tm 0.750 0.082 0.400
S 0.250 0.205 0.831
S 0.250 0.705 0.669
S 0.750 0.795 0.169
S 0.750 0.295 0.331
S 0.250 0.127 0.528
Just saw the NRATV spot blaming the media for school shootings. Morning Joe showed it. Fuck 'em. Fuck 'em all.